That's my question - doomsday cults - how come ?
_Calculated crystals, as found in the file_
/*
Starting from the PBE+U geometry in Alexandria, the powder XRD pattern of Na6Cr2B4SO16 was simulated for Cu Kα, 1.54184 Å.
Lines closer than 0.1° are merged.

Largest 10 diffraction maxima, by intensity, 2θ = 10–90°:
2θ (°), I_rel, (hkl)
21.09, 100, 3 1 1
33.33, 80, 5 1 1
36.38, 57, 4 4 0
10.97, 37, 1 1 1
57.10, 25, 5 5 5
46.42, 24, 7 1 1
22.04, 21, 2 2 2
65.46, 16, 8 4 4
52.39, 15, 8 0 0
38.11, 15, 5 3 1

Structural model:
a = 13.9704 Å, b = 13.9704 Å, c = 13.9704 Å
α = 90.00°, β = 90.00°, γ = 90.00°
Space group Fd-3 (No. 203, origin choice 2)
Inequivalent atoms, fractional coordinates:
Na 0.0938 0.3750 0.3750 (multiplicity 48)
Cr 0.0000 0.0000 0.5000 (multiplicity 16)
B 0.0382 0.0382 0.7118 (multiplicity 32)
S 0.1250 0.1250 0.1250 (multiplicity 8)
O 0.0211 0.2737 0.6137 (multiplicity 96)
O 0.0631 0.0631 0.0631 (multiplicity 32)

----------

Record 1
Er2Ga6Cu11: calculated PXRD pattern (Cu Ka), based on the PBE geometry in the Materials Project.
Peak positions follow from Bragg's law for the DFT cell and can differ from measured ones.

The 10 most intense peaks (2θ from 10° to 80°), low angle first:
| d [Å] | I/Imax |
| --- | --- |
| 3.025 | 32 |
| 2.524 | 40 |
| 2.418 | 29 |
| 2.186 | 64 |
| 2.162 | 100 |
| 2.095 | 48 |
| 1.938 | 27 |
| 1.513 | 18 |
| 1.262 | 19 |
| 1.222 | 19 |

Cell and atoms:
```
Er2Ga6Cu11
1.0
4.372 2.524 4.191
-4.372 2.524 4.191
0.000 -5.048 4.191
Er Ga Cu
2 6 11
Direct
0.161 0.161 0.161
0.839 0.839 0.839
0.156 0.156 0.646
0.156 0.646 0.156
0.354 0.844 0.844
0.646 0.156 0.156
0.844 0.354 0.844
0.844 0.844 0.354
0.000 0.500 0.500
0.204 0.500 0.796
0.204 0.796 0.500
0.400 0.400 0.400
0.500 0.000 0.500
0.500 0.204 0.796
0.500 0.500 0.000
0.500 0.796 0.204
0.600 0.600 0.600
0.796 0.204 0.500
0.796 0.500 0.204
```

---

Record 2
Er2CuGe2O8: calculated PXRD pattern (Cu Ka), based on the PBE geometry in the Materials Project.
Peak positions follow from Bragg's law for the DFT cell and can differ from measured ones.

The 10 most intense peaks (2θ from 10° to 80°), low angle first:
| d [Å] | I/Imax |
| --- | --- |
| 4.856 | 38 |
| 3.579 | 47 |
| 3.141 | 100 |
| 3.093 | 95 |
| 2.755 | 89 |
| 2.588 | 97 |
| 2.566 | 45 |
| 2.032 | 38 |
| 1.888 | 47 |
| 1.867 | 50 |

Cell and atoms:
```
Er2CuGe2O8
1.0
4.772 -7.492 0.000
4.772 7.492 0.000
-2.689 0.000 4.373
Er Cu Ge O
4 2 4 16
Direct
0.120 0.880 0.000
0.377 0.618 0.509
0.618 0.377 0.509
0.880 0.120 0.000
0.082 0.496 0.810
0.496 0.082 0.810
0.259 0.259 0.813
0.532 0.954 0.270
0.755 0.755 0.209
0.954 0.532 0.270
0.076 0.416 0.118
0.083 0.083 0.851
0.160 0.677 0.640
0.171 0.358 0.604
0.324 0.793 0.264
0.358 0.171 0.604
0.416 0.076 0.118
0.426 0.426 0.203
0.582 0.921 0.944
0.584 0.584 0.829
0.664 0.848 0.436
0.677 0.160 0.640
0.793 0.324 0.264
0.848 0.664 0.436
0.921 0.582 0.944
0.930 0.930 0.175
```

---

Record 3
Er3CuGeS7: calculated PXRD pattern (Cu Ka), based on the PBE geometry in the Materials Project.
*/
Why do cults focus in on 'doomsday'?
by A Paduan 25 Replies latest watchtower beliefs
Pessimists with a common goal.
Room 215
It's both a scare (the ``stick") tactic designed to hold people in thrall and an accompanying ``carrot'' dangled under the noses of the guileless that promises an imminent reward ``just around the corner." It also massages their egos subtly by convincing them they're uniquely privy to a wondrous secret.
I think one reason is that it creates the necessary urgency to get people to put away their normal cautiousness at getting involved in something unfamiliar. I mean, the message of the cult sounds good, but would most people really jump with both feet into a group in which they couldn't celebrate Christmas, would be expected to die rather than take blood, couldn't vote or salute the flag, etc etc? Most of us would take some time to analyze and think about it, before taking such a big step and changing so many things in our lives, especially when the changes are likely to be socially unacceptable. But, hey, Armageddon is coming any day now - you take too much time thinking instead of doing and you'll be birdfood just like those guys in Noah's day who were thinking about getting into the ark.
Even at 17 (this was in 1969), I probably would have given it more time than I did before being baptized, except that the guy who studied with me was sure that Armageddon would never hold off till 1975; he thought this fall (that is, the fall of 1969) looked like a good possibility. So it was really urgent that I get baptized, at least in my mind, because there just wasn't any time to delay. Had I taken another year or two to consider my options, I might never have joined the cult in the first place.
To instill FEAR -- and fear allows CONTROL --- and that is what they want CONTROL
People are motivated by the negative rather than the positive. They will work like mad for a fantasy but not work at all for the reality. The fantasy is the Watch Tower Publishing Corporation is the book printing business god chose and the literature it produces is from god and god is going to kill anyone not helping distribute the literature produced. People will work for that. The reality is, the Watch Tower Publishing Corporation is just a book printing business investing profits heavily in real estate and cash accounts and those nickles and dimes really do add up so keep sending them in. That won't work.
Soon the reality says spend your time and money helping yourself, your family, and your neighbors and enjoy life because soon enough you will get old and die. GaryB -
To instill FEAR -- and fear allows CONTROL --- and that is what they want CONTROL's all about CONTROL!!
Fear, Fear, Fear
Control Control Control!
Nothing worse than gritting your teeth all the time worrying about your salvation - you may be saved in the day of Jah's anger or something like that...
There was a really good series on radio 4 about this last year- i'll have to try and find the transcript.
The basis of the programme was that for people who already feel opressed, relief and hope can be found in the book of Revelation and made to applyAnd that identifying yourself with an oppressed group and possibly surviving a great tribulation to become greater than the current great and good around you is appealing.
It went on to explain how zealous and positive people can feel when they feel theyve found 'the answer'.
I dont actually think there's anything sinister in the people who start these cults- I think they're as misguided as the followers they find; but may be slightly different personality-wise in that they feel they are chosen to reveal truths to others...It was really good- i'll search for it later.